Find the line underneath that holds "0.001 μB/cell", then duplicate that line and all lines after it there.
____________
Entry from the Materials Project: CeSe2 after structural relaxation (GGA-PBE).

Output
**Spin magnetization**: 0.000 μB/cell
**Total energy**: -5.39 eV/atom
**Formation enthalpy at 0 K**: -1.3952 eV per atom
**Crystal system**: monoclinic

Geometry as CIF:
```
data_CeSe2
_chemical_formula_sum 'Ce56 Se112'
_cell_length_a 51.367
_cell_length_b 14.397
_cell_length_c 21.233
_cell_angle_alpha 90.00
_cell_angle_beta 105.94
_cell_angle_gamma 90.00
_symmetry_space_group_name_H-M 'C 1 2/m 1'
_symmetry_Int_Tables_number 12
loop_
_symmetry_equiv_pos_as_xyz
'x,y,z'
'-x,-y,-z'
'-x,y,-z'
'x,-y,z'
'x+1/2,y+1/2,z'
'-x+1/2,-y+1/2,-z'
'-x+1/2,y+1/2,-z'
'x+1/2,-y+1/2,z'
loop_
_atom_site_label
_atom_site_fract_x
_atom_site_fract_y
_atom_site_fract_z
_atom_site_occupancy
Ce1 0.047 0.187 0.159 1
Ce2 0.052 0.313 0.930 1
Ce3 0.138 0.316 0.310 1
Ce4 0.141 0.185 0.892 1
Ce5 0.191 0.318 0.125 1
Ce6 0.204 0.186 0.526 1
Ce7 0.210 0.314 0.763 1
Se1 0.003 0.264 0.849 1
Se2 0.045 0.000 0.178 1
Se3 0.052 0.500 0.952 1
Se4 0.060 0.221 0.045 1
Se5 0.085 0.264 0.261 1
Se6 0.092 0.269 0.873 1
Se7 0.134 0.000 0.865 1
Se8 0.140 0.500 0.341 1
Se9 0.161 0.215 0.420 1
Se10 0.165 0.285 0.219 1
Se11 0.168 0.263 0.812 1
Se12 0.170 0.208 0.020 1
Se13 0.184 0.500 0.088 1
Se14 0.197 0.277 0.632 1
Se15 0.209 0.000 0.553 1
Se16 0.219 0.500 0.783 1
Se17 0.245 0.282 0.175 1
Se18 0.250 0.250 0.500 1
```


Entry from the Materials Project: ZnGaCuSe3 after structural relaxation (GGA-PBE).

Output
**Spin magnetization**: 0.001 μB/cell
**Total energy**: -3.69 eV/atom
**Formation enthalpy at 0 K**: -0.7780 eV per atom
**Crystal system**: monoclinic

Geometry as CIF:
```
data_ZnGaCuSe3
_chemical_formula_sum 'Zn2 Ga2 Cu2 Se6'
_cell_length_a 13.310
_cell_length_b 4.015
_cell_length_c 5.693
_cell_angle_alpha 90.00
_cell_angle_beta 115.30
_cell_angle_gamma 90.00
_symmetry_space_group_name_H-M 'C 1 m 1'
_symmetry_Int_Tables_number 8
loop_
_symmetry_equiv_pos_as_xyz
'x,y,z'
'x,-y,z'
'x+1/2,y+1/2,z'
'x+1/2,-y+1/2,z'
loop_
_atom_site_label
_atom_site_fract_x
_atom_site_fract_y
_atom_site_fract_z
_atom_site_occupancy
Zn1 0.000 0.000 0.000 1
Ga1 0.172 0.500 0.660 1
Cu1 0.337 0.000 0.342 1
Se1 0.001 0.500 0.257 1
Se2 0.173 0.000 0.925 1
Se3 0.336 0.500 0.579 1
```


Entry from the Materials Project: LaSiAs3 after structural relaxation (GGA-PBE).

Output
**Total energy**: -5.50 eV/atom
**Formation enthalpy at 0 K**: -0.6341 eV per atom
**E above lowest polymorph**: 0.023 eV/atom
**Crystal system**: orthorhombic

Geometry as CIF:
```
data_LaSiAs3
_chemical_formula_sum 'La8 Si8 As24'
_cell_length_a 5.967
_cell_length_b 26.669
_cell_length_c 6.031
_cell_angle_alpha 90.00
_cell_angle_beta 90.00
_cell_angle_gamma 90.00
_symmetry_space_group_name_H-M 'P b c a'
_symmetry_Int_Tables_number 61
loop_
_symmetry_equiv_pos_as_xyz
'x,y,z'
'-x,-y,-z'
'-x+1/2,-y,z+1/2'
'x+1/2,y,-z+1/2'
'x+1/2,-y+1/2,-z'
'-x+1/2,y+1/2,z'
'-x,y+1/2,-z+1/2'
'x,-y+1/2,z+1/2'
loop_
_atom_site_label
_atom_site_fract_x
_atom_site_fract_y
_atom_site_fract_z
_atom_site_occupancy
La1 0.002 0.091 0.000 1
Si1 0.080 0.707 0.085 1
As1 0.005 0.124 0.505 1
As2 0.024 0.211 0.038 1
As3 0.248 0.000 0.748 1
```

* * * * *

First-principles (r²SCAN) data for a relaxed Hg2IBr3 crystal, as listed in Materials Project.

For the energy of formation, the calculation gives -3.0 eV per formula unit. The value obtained for the calculated density is 5.77 g/cm³. The value obtained for the volume is 442 Å³ per cell. Its crystal system is monoclinic.

It has space group Cm (No. 8), with a = 7.0781 Å, b = 4.7597 Å, c = 13.1161 Å, α = 90.00°, β = 90.20° and γ = 90.00°. Symmetry generates all atoms from Hg at (0.0000, 0.0000, 0.0000), Hg at (0.1758, 0.5000, 0.5085), I at (0.4029, 0.0000, 0.3697), Br at (0.2358, 0.5000, 0.1240), Br at (0.2687, 0.0000, 0.8791) and Br at (0.4397, 0.5000, 0.6352).
____________
**Spin magnetization**: 0.001 μB/cell
**Total energy**: -3.69 eV/atom
**Formation enthalpy at 0 K**: -0.7780 eV per atom
**Crystal system**: monoclinic

Geometry as CIF:
```
data_ZnGaCuSe3
_chemical_formula_sum 'Zn2 Ga2 Cu2 Se6'
_cell_length_a 13.310
_cell_length_b 4.015
_cell_length_c 5.693
_cell_angle_alpha 90.00
_cell_angle_beta 115.30
_cell_angle_gamma 90.00
_symmetry_space_group_name_H-M 'C 1 m 1'
_symmetry_Int_Tables_number 8
loop_
_symmetry_equiv_pos_as_xyz
'x,y,z'
'x,-y,z'
'x+1/2,y+1/2,z'
'x+1/2,-y+1/2,z'
loop_
_atom_site_label
_atom_site_fract_x
_atom_site_fract_y
_atom_site_fract_z
_atom_site_occupancy
Zn1 0.000 0.000 0.000 1
Ga1 0.172 0.500 0.660 1
Cu1 0.337 0.000 0.342 1
Se1 0.001 0.500 0.257 1
Se2 0.173 0.000 0.925 1
Se3 0.336 0.500 0.579 1
```


Entry from the Materials Project: LaSiAs3 after structural relaxation (GGA-PBE).

Output
**Total energy**: -5.50 eV/atom
**Formation enthalpy at 0 K**: -0.6341 eV per atom
**E above lowest polymorph**: 0.023 eV/atom
**Crystal system**: orthorhombic

Geometry as CIF:
```
data_LaSiAs3
_chemical_formula_sum 'La8 Si8 As24'
_cell_length_a 5.967
_cell_length_b 26.669
_cell_length_c 6.031
_cell_angle_alpha 90.00
_cell_angle_beta 90.00
_cell_angle_gamma 90.00
_symmetry_space_group_name_H-M 'P b c a'
_symmetry_Int_Tables_number 61
loop_
_symmetry_equiv_pos_as_xyz
'x,y,z'
'-x,-y,-z'
'-x+1/2,-y,z+1/2'
'x+1/2,y,-z+1/2'
'x+1/2,-y+1/2,-z'
'-x+1/2,y+1/2,z'
'-x,y+1/2,-z+1/2'
'x,-y+1/2,z+1/2'
loop_
_atom_site_label
_atom_site_fract_x
_atom_site_fract_y
_atom_site_fract_z
_atom_site_occupancy
La1 0.002 0.091 0.000 1
Si1 0.080 0.707 0.085 1
As1 0.005 0.124 0.505 1
As2 0.024 0.211 0.038 1
As3 0.248 0.000 0.748 1
```

* * * * *

First-principles (r²SCAN) data for a relaxed Hg2IBr3 crystal, as listed in Materials Project.

For the energy of formation, the calculation gives -3.0 eV per formula unit. The value obtained for the calculated density is 5.77 g/cm³. The value obtained for the volume is 442 Å³ per cell. Its crystal system is monoclinic.

It has space group Cm (No. 8), with a = 7.0781 Å, b = 4.7597 Å, c = 13.1161 Å, α = 90.00°, β = 90.20° and γ = 90.00°. Symmetry generates all atoms from Hg at (0.0000, 0.0000, 0.0000), Hg at (0.1758, 0.5000, 0.5085), I at (0.4029, 0.0000, 0.3697), Br at (0.2358, 0.5000, 0.1240), Br at (0.2687, 0.0000, 0.8791) and Br at (0.4397, 0.5000, 0.6352).